Are You Biased Without Knowing It?

Much has been written about diversity. Some organisations in developed countries promote diversity outwardly and tread carefully internally to avoid lawsuits on the matter, but that’s not necessarily the case in Malaysia.
-- Between two parts of the article: records of crystals --
-- begin --
1.
DFT (PBE+U) results for a relaxed structure of V4Cu3O12.

The space group is Im-3 (No. 204) and the conventional cell measures 7.285, 7.285 and 7.285 Å, with angles of 90.00, 90.00 and 90.00 degrees. The inequivalent atoms are V at (0.250, 0.250, 0.250), Cu at (0.000, 0.000, 0.500) and O at (0.000, 0.307, 0.186).

For the energy relative to the elements, the calculation gives -1861 meV per atom. For the total energy, the calculation gives -6.75 eV/atom. For the total energy after the MP2020 corrections, the calculation gives -286.72 eV/cell. Its total magnetization is 1.69 μB/f.u.


2.
DFT (PBE+U) results for a relaxed structure of LiMn2P3O10.

The space group is C2/c (No. 15) and the conventional cell measures 14.137, 8.695 and 9.106 Å, with angles of 90.00, 123.03 and 90.00 degrees. The inequivalent atoms are Li at (0.000, 0.089, 0.250), Mn at (0.230, 0.022, 0.046), P at (0.000, 0.420, 0.750), P at (0.128, 0.197, 0.684), O at (0.018, 0.306, 0.627), O at (0.106, 0.490, 0.370), O at (0.112, 0.144, 0.511), O at (0.120, 0.060, 0.783) and O at (0.235, 0.292, 0.798).

For the energy relative to the elements, the calculation gives -2578 meV per atom. For the total energy, the calculation gives -7.31 eV/atom. For the total energy after the MP2020 corrections, the calculation gives -508.80 eV/cell. For the energy above the lowest structure with this stoichiometry, the calculation gives 67.9 kJ/mol of formula units. Its total magnetization is 10.00 μB/f.u.


Q: What is the energy relative to the elements in the second record?
A: -2578 meV per atom


Q: Which formula does entry 1 have?
A: V4Cu3O12


Q: The highest total energy belongs to which entry?
A: V4Cu3O12

----------

K2NaInSb2 | PBE | optimized geometry

Results
Uncorrected energy (eV/atom): -2.891
Calculated volume (Å³ per cell): 840.02
ΔE_f (eV/atom): -0.53

Cell lengths 10.9515, 10.9515, 7.0894 Å; angles 90.00, 90.00, 98.91 degrees
With the nearest neighbours (Å) after each atom.
Sites, in units of the cell vectors:
K  0.0762  0.4238  0.7500  5 Sb 3.67-3.75, 2 In 3.78, 2 Na 3.87
K  0.1718  0.8282  0.7791  5 Sb 3.61-3.81, 2 Na 3.67, 2 In 3.95
K  0.3282  0.6718  0.2791  5 Sb 3.61-3.81, 2 Na 3.67, 2 In 3.95
K  0.4238  0.0762  0.2500  5 Sb 3.67-3.75, 2 In 3.78, 2 Na 3.87
K  0.5762  0.9238  0.7500  5 Sb 3.67-3.75, 2 In 3.78, 2 Na 3.87
K  0.6718  0.3282  0.7209  5 Sb 3.61-3.81, 2 Na 3.67, 2 In 3.95
K  0.8282  0.1718  0.2209  5 Sb 3.61-3.81, 2 Na 3.67, 2 In 3.95
K  0.9238  0.5762  0.2500  5 Sb 3.67-3.75, 2 In 3.78, 2 Na 3.87
Na  0.1191  0.1191  0.0000  4 Sb 3.12-3.21, 1 Na 3.39
Na  0.3809  0.3809  0.5000  4 Sb 3.12-3.21, 1 Na 3.39
Na  0.6191  0.6191  0.5000  4 Sb 3.12-3.21, 1 Na 3.39
Na  0.8809  0.8809  0.0000  4 Sb 3.12-3.21, 1 Na 3.39
In  0.1322  0.1322  0.5000  4 Sb 2.96-3.01
In  0.3678  0.3678  0.0000  4 Sb 2.96-3.01
In  0.6322  0.6322  0.0000  4 Sb 2.96-3.01
In  0.8678  0.8678  0.5000  4 Sb 2.96-3.01
Sb  0.1058  0.8942  0.2939  2 In 2.96, 2 Na 3.21
-- stop --
Many human resources (HR) leaders I speak to who want to create a diverse workplace tell a different, better story. They do it because they believe it’s the right thing to do – in the spirit of muhibbah.
We are Malaysians after all, and we take pride in being a multicultural country, regardless of how the politicians and media might paint it. Yes, there may be a ‘quota system’ in some organisations here, but not in most. Needless to say, the organisational benefits of having a diverse workforce are not overlooked either.
However, good intentions don’t always translate into good results. While HR and management may take the right steps to bring in skilled people of different gender, age and cultural backgrounds, strong retention is sometimes beyond HR’s ability to effect.
In countries like the US, organisations report that many diversity training programmes have been conducted but they are not always successful. In Malaysia, ‘Working With Different Generations’ seems to be a popular training theme, but no substantial reports on positive outcomes have been heard thereafter.
We still receive complaints about Gen Y and the older folks. Why is that so? If processes and policies are made right and trainings are conducted, what’s the missing link? In my humble opinion – it’s the employees, i.e. you and me.
Read this: The Truth About Diversity
You and I have big roles to play in ensuring workplace diversity is sustainable. Let me share with you a story, without prejudice.
There was a very dynamic department of 20 individuals. It is a predominantly Chinese team, with three individuals who had some Chinese ancestry via mixed marriages. (The whole organisation was, by and large, ethnically homogenous.)
A quick profiling shows that 90% of the team members are in their mid-20s to early 30s, from the city, and speaks better Cantonese than English. A small group were from Chinese vernacular school. Internal communications within the department is primarily in Cantonese, followed by English. It is a strong close-knit group that worked well together and delivered superb results.
A role opened up while the topic of diversity was hot in the air, and the head of department decided there was a need for someone with a Malay cultural background to meet the needs of their clients as well. And so a skilled Malay man from a small town was hired.
On Monday, in walked a very quiet man whose primary language was Bahasa Malaysia, and who appeared excited
but lost on his first day. All of his colleagues made an effort to say ‘hi’ and welcome him, then carried on with their work and casual departmental chats.
As the day went by, the new hire appeared more uneasy. He would lunch with his team, then head back to his desk while the noise and chatter continued in the office. Day two, three and four came and went as the new team member received work briefings and again lunched with the team. On day five, he didn’t show. The following Monday, the team received news that he had resigned.
It didn’t take long for the colleagues to conclude that he ‘didn’t fit in the department’. While they were all kind and decent individuals, there were just some implicit biases and habitual actions that didn’t help welcome people of a different background into their team.
Unfortunately, this is not uncommon, even in Malaysia where most Malaysians strive to be accepting of others.
Mahzarin R. Banaji, a professor at Harvard and co-author of Blindspot: Hidden Biases of Good People discovered through her research that even the best among us have some implicit biasness that needs undoing.
On what later became known as the Implicit Association Test, she states that “everyone carries with them implicit biases that may change how people perceive or interact with others. We are all subject to these biases, which can lead people to inadvertently act in ways that may be discriminatory or are influenced by stereotypes that people would consciously reject.”
Entry 1:
Density functional theory data (PBE) for a relaxed structure of BeH12C4S2Br2.

Cell lengths 10.2916, 10.1067, 10.8261 Å; angles 90.00, 90.00, 90.00 degrees
With the nearest neighbours (Å) after each atom.
Element x y z (fractional)
Be (0.0000, 0.1997, 0.2500)  2 Br 2.13, 2 S 2.19
Be (0.0000, 0.8003, 0.7500)  2 Br 2.13, 2 S 2.19
Be (0.5000, 0.3003, 0.7500)  2 Br 2.13, 2 S 2.19
Be (0.5000, 0.6997, 0.2500)  2 Br 2.13, 2 S 2.19
H (0.0927, 0.0599, 0.5659)  1 C 1.10
H (0.0927, 0.9401, 0.0659)  1 C 1.10
H (0.1110, 0.4161, 0.7681)  1 C 1.10
H (0.1110, 0.5839, 0.2681)  1 C 1.10
H (0.1788, 0.0899, 0.0290)  1 C 1.10
H (0.1788, 0.9101, 0.5290)  1 C 1.10
H (0.1834, 0.2763, 0.6902)  1 C 1.10
H (0.1834, 0.7237, 0.1902)  1 C 1.10
H (0.2006, 0.2957, 0.8548)  1 C 1.09
H (0.2006, 0.7043, 0.3548)  1 C 1.09
H (0.2339, 0.4448, 0.0799)  1 C 1.10
H (0.2339, 0.5552, 0.5799)  1 C 1.10
H (0.2661, 0.0552, 0.5799)  1 C 1.10
H (0.2661, 0.9448, 0.0799)  1 C 1.10
H (0.2994, 0.2043, 0.3548)  1 C 1.09
H (0.2994, 0.7957, 0.8548)  1 C 1.09
H (0.3166, 0.2237, 0.1902)  1 C 1.10
H (0.3166, 0.7763, 0.6902)  1 C 1.10
H (0.3212, 0.4101, 0.5290)  1 C 1.10
H (0.3212, 0.5899, 0.0290)  1 C 1.10
H (0.3890, 0.0839, 0.2681)  1 C 1.10
H (0.3890, 0.9161, 0.7681)  1 C 1.10
H (0.4073, 0.4401, 0.0659)  1 C 1.10
H (0.4073, 0.5599, 0.5659)  1 C 1.10
H (0.5927, 0.4401, 0.4341)  1 C 1.10
H (0.5927, 0.5599, 0.9341)  1 C 1.10
H (0.6110, 0.0839, 0.2319)  1 C 1.10
H (0.6110, 0.9161, 0.7319)  1 C 1.10
H (0.6788, 0.4101, 0.9710)  1 C 1.10
H (0.6788, 0.5899, 0.4710)  1 C 1.10
H (0.6834, 0.2237, 0.3098)  1 C 1.10
H (0.6834, 0.7763, 0.8098)  1 C 1.10
H (0.7006, 0.2043, 0.1452)  1 C 1.09
H (0.7006, 0.7957, 0.6452)  1 C 1.09
H (0.7339, 0.0552, 0.9201)  1 C 1.10
H (0.7339, 0.9448, 0.4201)  1 C 1.10
H (0.7661, 0.4448, 0.4201)  1 C 1.10
H (0.7661, 0.5552, 0.9201)  1 C 1.10
H (0.7994, 0.2957, 0.6452)  1 C 1.09
H (0.7994, 0.7043, 0.1452)  1 C 1.09
H (0.8166, 0.2763, 0.8098)  1 C 1.10
H (0.8166, 0.7237, 0.3098)  1 C 1.10
H (0.8212, 0.0899, 0.4710)  1 C 1.10
H (0.8212, 0.9101, 0.9710)  1 C 1.10
H (0.8890, 0.4161, 0.7319)  1 C 1.10
H (0.8890, 0.5839, 0.2319)  1 C 1.10
H (0.9073, 0.0599, 0.9341)  1 C 1.10
H (0.9073, 0.9401, 0.4341)  1 C 1.10
C (0.1763, 0.0027, 0.0892)  3 H 1.10
C (0.1763, 0.9973, 0.5892)  3 H 1.10
C (0.1936, 0.3473, 0.7663)  3 H 1.09-1.10
C (0.1936, 0.6527, 0.2663)  3 H 1.09-1.10
C (0.3064, 0.1527, 0.2663)  3 H 1.09-1.10
C (0.3064, 0.8473, 0.7663)  3 H 1.09-1.10
C (0.3237, 0.4973, 0.5892)  3 H 1.10
C (0.3237, 0.5027, 0.0892)  3 H 1.10
C (0.6763, 0.4973, 0.9108)  3 H 1.10
C (0.6763, 0.5027, 0.4108)  3 H 1.10
C (0.6936, 0.1527, 0.2337)  3 H 1.09-1.10
C (0.6936, 0.8473, 0.7337)  3 H 1.09-1.10
C (0.8064, 0.3473, 0.7337)  3 H 1.09-1.10
C (0.8064, 0.6527, 0.2337)  3 H 1.09-1.10
C (0.8237, 0.0027, 0.4108)  3 H 1.10
C (0.8237, 0.9973, 0.9108)  3 H 1.10
S (0.1596, 0.0570, 0.2475)  2 C 1.81
S (0.1596, 0.9430, 0.7475)  2 C 1.81
S (0.3404, 0.4430, 0.7475)  2 C 1.81
S (0.3404, 0.5570, 0.2475)  2 C 1.81
In other words, at a subconscious level, we may all tend to do some generalisation regarding various categories of people. We may not intentionally discriminate against others who are different from us or those in the ‘out-group’, but still our actions or thoughts may sometimes make them feel unwelcome or small.
While these biases are neither deliberately damaging nor explicit, it can be easily picked up by someone who is already feeling out of place. As we build a genuinely diverse workplace where people of different genders, ages, educational backgrounds, languages and races come together, we need to put in some extra work beyond implementing procedures and trainings.
The following approaches can help welcome and sustain diversity in our teams or departments:
1. Discover, understand and own your implicit biases
Most Malaysians do not consciously discriminate against others, but there is no denying that many of us were brought up observing and being influenced by discriminatory ideas and behaviours in parents, relatives, friends and the community around us.
Don’t mistake your implicit bias against a certain race or gender as you being actively racist, sexist or ageist. You may currently be working with these people and are friends with them. But while you may not outwardly insult these colleagues, be on the lookout for small hints of bias in your actions, words or thoughts – especially involving those you have not built a close relationship with.
Take time to sit back and think of these biases. They can stem from our upbringing, past experiences or simply be ‘borrowed biases’ from the media or others. Think back to playtime when you were young or even when forming study groups in college. Were there people that you tried to avoid having as team members? Identifying the source or sources of these biases can help you understand yourself better and work towards countering your biases.
2. Reframe it and rethink your actions.
Our implicit biasness results in our automatic responses. Bahaji shares that while we don’t explicitly express our biasness, there is a high chance that “it shows up in our non-verbal behaviour: our expressions, our stances, how far we stand, how much eye contact we make”. Because of this, there really is a need for us to make a conscious effort in reframing our thoughts and rethinking our expressions.
I would like to think that most of us have said this to ourselves at some point: “I love all people and treat them as unique individuals.” However, let’s be honest. Sometimes our actions and behaviours don’t reflect that but we deny it and tell ourselves otherwise. Psychologists term it as cognitive dissonance when an individual experiences discomfort because their behavior is not in sync with their beliefs.
A simple example can involve a co-worker from Nigeria. Over the years, there is a strong label formed around Nigerians because of a few bad apples that have been caught in drugs, scams, and unruly behaviours.
As such, my Nigerian friends – who are honest and awesome to work with – have complained about how difficult it is for them to find jobs, local friends and sometimes a place to stay. But truth be told, even as an assessor – and I believe strongly that every individual is unique and we shouldn’t generalise – the implicit biasness in me stopped me from befriending them initially. We stopped at courteous hellos. Prejudice happened without me realising it. But once that realisation dawned, I made an effort to get to know them on a more personal level and now, I am glad I did not stop at just hellos. These friends have been a great blessing to me and my family.
No. 1
First-principles (GGA-PBE) data for crystalline CoPSe at its relaxed geometry, as listed in the Materials Project database.

VASP energy = -5.7702 eV/atom
symmetry = P2_13
corrected total energy (MP2020 scheme) = -5.928 eV per atom
energy of formation = -0.59 eV/atom

extended XYZ file:
```
12
Lattice="5.608 0.000 0.000 0.000 5.608 0.000 0.000 0.000 5.608" Properties=species:S:1:pos:R:3 pbc="T T T"
Co 0.063 2.741 2.867
Co 2.741 2.867 0.063
Co 2.867 0.063 2.741
Co 5.545 5.545 5.545
P 0.675 3.479 4.933
P 2.129 2.129 2.129
P 3.479 4.933 0.675
P 4.933 0.675 3.479
Se 0.672 4.936 2.132
Se 2.132 0.672 4.936
Se 3.476 3.476 3.476
Se 4.936 2.132 0.672
```



No. 2
First-principles (GGA-PBE) data for crystalline SmCo5P3 at its relaxed geometry, as listed in the Materials Project database.

VASP energy = -7.0847 eV/atom
symmetry = Pnma
energy of formation = -0.81 eV/atom

extended XYZ file:
```
36
Lattice="11.814 0.000 0.000 0.000 3.680 0.000 0.000 0.000 10.370" Properties=species:S:1:pos:R:3 pbc="T T T"
Sm 2.393 0.920 0.864
Sm 3.514 2.760 6.049
Sm 8.299 0.920 4.321
Sm 9.421 2.760 9.506
Co 0.117 2.760 7.408
Co 0.131 2.760 0.975
Co 0.799 2.760 4.856
Co 2.075 0.920 8.080
Co 2.330 0.920 3.962
Co 3.577 2.760 9.147
Co 3.832 2.760 2.895
Co 5.108 0.920 10.041
Co 5.776 0.920 6.160
Co 5.790 0.920 2.223
Co 6.024 2.760 8.147
Co 6.038 2.760 4.210
Co 6.706 2.760 0.329
Co 7.982 0.920 7.475
Co 8.237 0.920 1.223
Co 9.483 2.760 6.409
Co 9.738 2.760 2.290
Co 11.014 0.920 5.514
Co 11.683 0.920 9.395
Co 11.696 0.920 2.962
P 1.277 2.760 9.296
P 1.314 0.920 6.034
P 1.537 2.760 2.829
P 4.370 0.920 8.014
P 4.593 2.760 0.848
P 4.630 0.920 4.111
P 7.184 2.760 6.259
P 7.221 0.920 9.522
P 7.444 2.760 2.356
P 10.277 0.920 7.541
P 10.499 2.760 4.337
P 10.536 0.920 1.074
```



> Among the records above, which one has the highest energy of formation?

CoPSe



Copy entry 1 word for word.
First-principles (GGA-PBE) data for crystalline CoPSe at its relaxed geometry, as listed in the Materials Project database.

VASP energy = -5.7702 eV/atom
symmetry = P2_13
corrected total energy (MP2020 scheme) = -5.928 eV per atom
energy of formation = -0.59 eV/atom

extended XYZ file:
```
12
Lattice="5.608 0.000 0.000 0.000 5.608 0.000 0.000 0.000 5.608" Properties=species:S:1:pos:R:3 pbc="T T T"
Co 0.063 2.741 2.867
Co 2.741 2.867 0.063
Co 2.867 0.063 2.741
Co 5.545 5.545 5.545
P 0.675 3.479 4.933
P 2.129 2.129 2.129
P 3.479 4.933 0.675
P 4.933 0.675 3.479
Se 0.672 4.936 2.132
Se 2.132 0.672 4.936
Se 3.476 3.476 3.476
Se 4.936 2.132 0.672
```



> Which value of energy of formation does entry 1 give?

-0.59 eV/atom

=====

Entry 1:
Computed, not measured: TlGaF6 after structural relaxation at the meta-GGA r2SCAN level of DFT.

```
TlGaF6
1.0
2.5484 1.4713 4.7298
-2.5484 1.4713 4.7298
0.0000 -2.9426 4.7298
Tl Ga F
1 1 6
direct
0.0000 0.0000 0.0000
0.5000 0.5000 0.5000
0.1206 0.4195 0.7275
0.2725 0.8794 0.5804
0.4196 0.7275 0.1206
0.5805 0.2725 0.8794
0.7275 0.1206 0.4195
0.8794 0.5804 0.2725
```
When cognitive dissonance takes place in this case, something else needs to happen. We change either our beliefs or our behaviour. Based on the above example, I decided to keep my conscious belief that every individual is unique and shouldn’t be put in a box. So, I changed the behaviour that stemmed from my implicit biasness and saw great results arising from there.
If your thoughts need to be adjusted, do so. Reframe your thoughts and opinions regarding the groups of people you are likely to be biased towards.
3. Take sincere actions to sustain diversity
A great piece of advice I have received in managing my own implicit bias is this simple yet impactful exhortation: “Be sincere in wanting to know and learn about a person you are unfamiliar with. Go beyond hellos and ask questions that will help you understand where this person is coming from and, through that, build a genuine relationship. And then, engage them!”
This rings true. Getting to know someone is one good way to repel our bias. But engaging them in team projects and organisation-wide projects will go a long way in making employees from minority groups feel welcome. Merely having lunches with them without engaging them is insufficient.
If actions are taken because ‘management says so’, the insincere efforts may not yield much benefit to you, your colleague or the organisation.
This might interest you: Does Your Business Sacrifice Diversity For Comfort?
Bringing it all together
Henry Ford said it well: “Coming together is a beginning, staying together is progress, working together is success.”
So while management and the HR team may take the first step by putting in processes to build a more diverse organisation, it really is up to you and me to make it a success!
Tags: Hard Talk